JULY 2015 PART 1

Chi kung works on energy resulting in good health, vitality and longevity, whereas gentle physical exercise only works on the physical body, like loosening joins and muscles
Question 1
I'm writing to ask about the combination of Chi Kung practice and recreation in China.
On your site I've seen information about certified instructors and heelers in different countries, but there's nothing mentioned about China.
— Svetlana. Russia
I am sorry I would be unable to give a satisfactory answer on the combination of chi kung practice and recreation in China for the following reasons.
Our view of chi kung is quite different from that of most chi kung practitioners in China. We consider what they practice as gentle physical exercise, and not chi kung. Chi kung is an art of energy, but what most practitioners today in China do is to work on their physical body, like loosening joints and muscles, and not on their energy.
As an analogy, which may give a clearer picture, what most Taijiquan (Tai Chi Chuan) practitioners today practice is external Taijiquan movements and not Taijiquan. Taijiquan is an internal martial art, but there is nothing internal, and nothing martial in what most Taijiquan practitioners today practice.
In both chi kung and Taijiquan, the forms used by most other practitioners and by us in our school, Shaolin Wahnam, are the same. The difference lies in how we practice the same forms. Most chi kung practitioners in China practice the chi kung forms as gentle physical exercise; we practice the same forms as an art of energy. Most other Taijiquan practitioners all over the world practice the Taijiquan forms as external movements; we practice the same Taijiquan forms as an internal martial art.
This is our view. You should also get the views of those whom we consider practice chi kung as gentle physical exercise, or Taijiquan as external movements.
Nevertheless, there are masters in China who practice chi kung as an art of energy, and there are masters in the world, including in China, who practice Taijiquan as an internal martial art. But they are few and rare, and may not be interested in teaching their arts.
On the other hand, I am competent to give a satisfactory answer on the combination of chi kung practice and recreation in our school. While there are many other benefits, like good health, vitality, longevity and peak performance, we take our chi kung practice as recreation, and not as endurance as many other chi kung practitioners may regard their practice. If you learn from us, you will soon discover that the three golden rules of practice in our school are (1) not to worry, (2) not to intellectualize while practicing, and (3) enjoy your practice.
This difference between recreation and endurance is more noticeable in the various styles of kungfu practiced in our school. In most other schools, kungfu training is characterized by endurance, epitomized by the term "ku lian", which means "bitter training". In our school the key word even in kungfu training is "enjoy yourselves". It is almost a joke.
Chi kung, but not gentle physical exercise, is excellent for therapy. Many of our students overcame their so-called incurable diseases, like cancer, heart problems, diabetes, chronic pain, depression and addiction, by practicing chi kung learnt from us. Those who are already healthy prevent these so-called incurable diseases from happening, and are daily full of joy and vitality.
Please take note that "therapy" here means healing yourself, not healing others. In other words, our chi kung practice enables our students to heal themselves if they are sick, and remain healthy if they have no illness. If they want to be a chi kung healer to heal others, they must first become a good chi kung student, then be selected to attend special courses on chi kung healing.
My website contains information about activities, including certified instructors and healers, in various countries but not in China, because it describes activities as they are, and we have not expanded to China. If people in China believe that they can benefit from our activities, we shall gladly expand there. It is worthy of note that the expansion of our activities worldwide is spontaneous, initiated by dedicated people in the countries themselves.
Question 2
I would like to combine recreation, therapy, relaxation with Chi Kung practice. Is it possible to do in one of your health cultivation centres. I have recently come across the book by Grandmaster Wong Kiew Kit, "The Art of Chi Kung", and I've realized that it's exactly what I need.
If you like to combine recreation, therapy, relaxation with chi kung practice, I would recommend that you attend my Intensive Chi Kung Course. You may also be amazed at the many other benefits that you may not even dream about. Please see my website for details, and apply to my secretary for registration.
Thank you for the kind words about my book. Many people have kindly told me that it is the best book they have read on chi kung.

Kungfu is for fighting -- using kungfu techniques, not kick-boxing or techniques of other martial systems
Question 3
I want to learn kungfu.
— Ali, Pakistan
Many people want to learn kungfu, but end up learning kungfu forms or kick-boxing instead. Learning kungfu fomrs or kick-boxing is fine, but it is different from learning kungfu.
Before you learn kungfu, or any art, it is wise to know what that art is. This may sound trite or unnecessary, but it will not only save you a lot of time but also prevent you from much injury.
For convenience we may classify kungfu into three types: ordinary kungfu, good kungfu, and great kungfu.
Ordinary kungfu is for self-defence. There are also other arts of self-defence, like kick-boxing, karate and taekwondo. The main difference is their forms. Kick-boxing uses kick-boxing forms, karate uses karate forms, taekwondo uses taekwondo forms, and kungfu uses kungfu forms.
There are different styles of kungfu, like Shaolin, Taijiquan, Praying Mantis and Baguzzhang. Praying Mantis kungfu forms can be very different from Baguazhang kungfu forms.
About 90% of those who say they practice kungfu only perform kungfu forms. Strictly speaking they do not practice genuine kungfu because they cannot apply their kungfu forms for fighting. Many of them may not admit this fact. Some may not even realize it.
Of those who practice only kungfu forms and cannot use their kungfu forms for fighting, 70% of them perform their kungfu forms for demonstration. Past masters referred to such demonstrative kungfu forms as "flowery fists embroidery kicks". 30% of them use kick-boxing or other martial techniques, but not kungfu, for fighting.
I would like to clarify that personally I have nothing against them. What and how they choose to practice is their right and business. Actually many of those who practice "flowery fists and embroidery kicks" are very nice people -- the type of people I would like to have tea with, though I disagree with their concept and practice of kungfu.
So, kungfu is quite rare. Kungfu is for fighting. But the great majority of those who say they practice kungfu, cannot use their kungfu for fighting, though some of them are good fighters using kick-boxing or other martial techniques.
For every 100 persons who say they practice kungfu, only about 10 can use their kungfu for fighting. In our classification, we call this ordinary kungfu.
But kungfu is not just for fighting, though combat efficiency is its most basic requirement. Good kungfu contributes to health, vitality and longevity. While the percentage of those who practice genuine kungfu is low, only about 10%, the percentage of good kungfu is high, about 70%. So about 7 out of the 10 practitioners (out of 100 persons who say they practice kungfu, but they cannot use their kungfu techniques for combat) of genuine kungfu have good health. They also have high moral values.
Amongst those who practice "flowery fists embroidery kicks", the percentage of good health is also very high, about 90%. But they cannot be said to practice good kungfu, not even ordinary kungfu, because they cannot use their kungfu for combat.
Great kungfu, which is not only for combat and good health but also for spiritual cultivation, is very rare. Only 1% of those who say they practice kungfu may have a chance to practice great kungfu.
Please take note that spiritual cultivation is different from moral cultivation, though they are closely related. A morally cultivated person is kind and considerate, but he may or may not believe in his own spirit. He may think that he is only a physical body. Spiritual cultivation is the cultivation of the spirit. A spiritually cultivated person is relaxed, peaceful and happy, and at high levels may have glimpses of Cosmic Realty.
Please also take note that spiritual cultivation is non-religious. Any person of any religion or without any professed religion can cultivate spiritually. Spiritual cultivation will enable a religious person to be a better follower of his own religion because it makes his religions teaching come alive.
To sum up, kungfu is rare. Most people practice only kungfu forms, and use kick-boxing or other martial techniques when they have to fight. Genuine kungfu may be ordinary, good or great. Ordinary kungfu is for fighting. Good kungfu is for fighting and good health. Great kungfu is for fighting, good health and spiritual cultivation.
It is a golden opportunity to be able to practice great kungfu. But because kungfu today is so debased, the public generally does not have a good impression of kungfu practitioners. They think of them as rough and aggressive. In fact it is the resvers. A genuine kungfu practitioner is gentle and considerate to others, relaxed and happy to himself.
Question 4
I often feel more powerful after training a Small Universe session rather than an Iron Wire session.
— Steven, USA
If all other things were equal, Iron Wire will produce more internal force than Small Universe. On the other hand, Small Universe will give better health benefits than Iron Wire. This is relative. Iron Wire, when practiced correct, also gives very good benefits for health. Small Universe also produces internal force.
But many people practice Iron Wire wrongly. They perform it as isometric exercise which also produces much strength. But it produces big muscles which are detrimental to health.
For you, other things are not equal. You have learned both Iron Wire and Small Universe, and can perform them well. More significantly, you gain the benefit of breadth and depth, which enhance both your Iron Wire and Small Universe as well as all other arts. Hence, different from the norm, your Small Universe generate more internal force for you than Iron Wire.
There may be various reasons which we don't need to worry about, but will discuss here for intellectual pleasure. A likely reason is that having learnt Iron Wire, you know how to develop internal force using the force method. When you practice Small Universe, your flow method enhance the internal force earlier created by your force method, making you more powerful than had you employed only the force method.

A Small Universe Course in Penang
Question 5
Can Small Universe be used as the sole method for training internal force? If so, is the internal force generated from Small Universe classified as flowing force?
Yes, you can use only the Small Universe to generate internal force. But because you also know other methods, it is wise to use the other methods too, even once a while.
Yes, the internal force generated from Small Universe is classified as flowing force. Because of our benefit in breadth and depth, we can convert the flowing force into consolidated force, and vice versa, if we like.
You need not worry whether which method will give you the optimum benefit, because even if, without your knowing, you have chosen a relatively less effective method, you will still produce a lot of internal force and other benefits.
As an analogy, if a man uses method A he earns 4 million dollars a month, but he uses method B he earns only 3 million dollars a month, which is by proportion considerably less. But he needs not worry and makes himself stressful which method to use. Even if he earns only a million dollars a month using any method and performs below par, he still has more money than his needs.
But if he earns four thousand dollars a month using method A, and only three thousand dollars a month using method B, he needs to be sure he uses method A. Earning less income in this case makes a difference.
Question 6
By practicing the Small Universe daily and training Iron Wire once in awhile, does my Iron Wire force dissipate from the circulation from Small Universe? I believe the answer is no from personal experience, but I would be very grateful if Sigung could confirm.
You are right. The answer is no.
For other people without our benefit of breadth and depth, not only the Iron Wire force will dissipate, it may interfere with his Small Universe training.
This is because of the magic of chi flow that we have. We can convert flowing force, or a portion of it, into consolidated force, and vice versa.

********
(a)
DFT (GGA+U) results for an optimized crystal structure of Ca3V2O8.

```
91
Lattice="5.4675 3.1567 12.7687 -5.4675 3.1567 12.7687 0.0000 -6.3134 12.7687" Properties=species:S:1:pos:R:3 pbc="T T T"
Ca 0.0000 0.0000 0.0000
Ca -2.2009 -1.0920 12.3528
Ca -3.2199 1.8278 10.0863
Ca 0.0270 -3.7025 10.0863
Ca -2.2398 -1.3090 16.4631
Ca -3.2863 -1.6333 28.0693
Ca -0.1804 -2.6678 21.6178
Ca 2.0462 -1.3601 12.3528
Ca -2.2202 1.4901 21.6178
Ca 0.1548 2.4521 12.3528
Ca 0.0000 0.0000 19.1126
Ca -2.1885 -1.5515 31.6679
Ca -0.0137 2.5942 16.4631
Ca 2.2535 -1.2853 16.4631
Ca 3.1929 1.8746 10.0863
Ca 0.0000 0.0000 26.4613
Ca 2.4006 1.1777 21.6178
Ca 3.0576 -2.0294 28.0693
Ca -0.2494 2.6710 31.6680
Ca 0.2287 3.6627 28.0693
Ca 2.4379 -1.1195 31.6680
V -0.2690 -3.0112 13.9425
V -2.9895 -1.4323 20.3280
V -2.4733 1.7385 13.9425
V 0.0000 0.0000 10.1859
V -0.1913 -3.3601 17.8498
V -2.8143 1.8457 17.8498
V -2.5704 -1.2383 24.2768
V 2.7422 1.2726 13.9425
V 2.7352 -1.8728 20.3281
V 0.2543 3.3051 20.3281
V 2.3576 -1.6069 24.2768
V 0.0000 0.0000 29.4021
V 0.2128 2.8452 24.2768
V 3.0056 1.5144 17.8498
O -1.8649 -2.4598 14.3205
O -1.6545 -3.7129 16.9564
O -0.9172 -1.4100 9.7617
O -3.0922 -1.7374 18.6409
O -3.0688 -2.9564 21.1173
O -0.1392 -4.6816 14.3978
O -4.2360 0.9777 17.3974
O -4.2431 -0.3190 20.7575
O -3.9847 2.4614 14.3978
O -3.9057 -2.3367 24.0955
O -0.0515 -2.7632 12.2521
O -2.4063 0.2105 14.7034
O -2.3673 1.4262 12.2521
O -0.6408 -3.6172 19.4820
O -0.7625 1.4993 9.7617
O 0.0000 0.0000 11.9345
O -3.1108 0.1397 23.3657
O 1.2713 -4.1573 17.3974
O 1.0209 -2.1891 14.7034
O -1.4655 0.7980 17.5226
O -1.4824 -0.6939 20.7605
O 0.0417 -1.6682 17.5226
O -2.8122 2.3636 19.4820
O -2.3882 3.2893 16.9563
O 1.6797 -0.0893 9.7617
O -1.1678 -2.0324 23.7239
O -1.1978 2.8449 14.3206
O -2.2529 -0.6208 25.8913
O 2.3978 -3.5152 20.7575
O 1.4344 -2.7639 23.3657
O -1.6075 -0.0180 28.7277
O 2.4187 1.3370 12.2521
O 1.3854 1.9787 14.7034
O 1.3421 -0.9369 20.7606
O -1.1762 2.0275 23.7239
O 3.0627 -0.3852 14.3206
O 1.4238 0.8702 17.5226
O 0.1403 1.6307 20.7606
O 3.0507 -1.8093 18.6409
O -1.0259 4.1359 21.1172
O 0.0415 3.5467 18.6409
O 1.6641 -1.6406 25.8913
O 0.8193 -1.3831 28.7277
O 0.0000 0.0000 31.1082
O 2.3440 0.0049 23.7239
O 4.0427 0.4236 16.9564
O 0.5888 2.2614 25.8913
O 4.0948 -1.1794 21.1172
O -0.0708 4.5508 24.0955
O 4.1240 2.2202 14.3977
O 3.9765 -2.2141 24.0955
O 3.4530 1.2536 19.4820
O 2.9647 3.1796 17.3974
O 0.7882 1.4011 28.7277
O 1.6764 2.6242 23.3658
O 1.8454 3.8341 20.7575
```

(b)
DFT (GGA+U) results for an optimized crystal structure of Ca3V2O8.

```
13
Lattice="4.8912 -2.7925 0.0000 4.8912 2.7925 0.0000 -3.2498 0.0000 6.3567" Properties=species:S:1:pos:R:3 pbc="T T T"
Ca 0.0000 0.0000 0.0000
Ca -0.0134 0.0000 3.7558
Ca 6.5461 0.0000 2.6009
V 3.2751 0.0000 1.3616
V 3.2576 0.0000 4.9951
O 2.4510 1.4334 4.4161
O 4.0817 1.4334 1.9405
O 1.6104 0.0000 1.8983
O 0.0778 0.0000 6.0051
O 6.4549 0.0000 0.3516
O 4.9223 0.0000 4.4584
O 2.4510 -1.4334 4.4161
O 4.0817 -1.4334 1.9405
```
********
The materials data stop here:

An Iron Wire Course in Lisbon
Question 7
I've been trying to slowly incorporate Iron Wire back into my training regimen by practicing every other day. However, I find that the force generated from Small Universe often spills over into my Iron Wire practice, making the Iron Wire sessions too powerful.
This is quite normal in our school because of our benefit of breadth and depth. Yours and many other people's examples in our school answer a question some of our instructors initially asked, which was whether they should focus on what they already knew or learned new material.
Our advice to students, which is quite ridiculous to other people if not a joke, is to tell our students train less, not more. Don't over-train. Use the time you save and the internal force and mental clarity you gain from your training to get a good girlfriend.
Question 8
Could Sigung kindly provide training advice as to how to proceed with Small Universe and Iron Wire?
As you already know the Small Universe and Iron Wire, you need not worry about the best working procedure. Just carry on working the way you have been doing, with the three golden rules of working, namely don't worry, don't intellectualize, enjoy the work.
Knowing the Small Universe and Iron Wire is a rare opportunity. Not many people know these arts. Even if you have chosen a poor procedure, what you get is more than enough for your needs.
Selected Reading
- Developmental Stages in Training to Become a Master
- Shaolin Kungfu Now and 500 Years Ago
- Green Dragon Shoots Pearl
- How Sophisticated Kungfu Techniques Developed
- Time to Chat